Deadbeat Dad Page

My sad tale of woe

I'm a Deadbeat Dad. Sound like an introduction at a 12 step meeting? It isn't. Deadbeat Dads are what Politicians and the media call non-custodial Fathers who the Govenment saddles with a huge installment debt for the "sin" of fathering children with a Wife who doesn't understand the concept of fairness, commitment and parental responsibility.

How does one become a so-called "Deadbeat Dad" you may ask? Pretty simple, actually. All you have to do is father one or more children. That's it! From that point on, you are sitting on a ticking time bomb. Any time the Mother decides that she wants you out of her and/or the children's lives, YOU get to be a "Deadbeat Dad".

How does it work? Well, unless you've been living in a crater on the moon for the past 30 years, you are no doubt well aware that child custody and child support issues in America are stacked heavily against Fathers. When two people show up at a divorce or child custody hearing, you can bet the ranch (literally) that the custody of minor children will be given to the Mother. You can also bet your paycheck (literally) that the Courts will award the Mother a huge child support judgement against the Father. How huge? Well, the standard is 25% of gross salary which equals around 1/3 of one's net pay. Add to this Court ordered medical, dental, insurance and other little bennies and dear old Dad is looking at some hefty monthly payments for the next few years. Fall behind in those payments and you can expect the full power and force of your wonderful Goverment to be mobilized against you. More on that later.

== What comes next are records of crystals, not part of the entry ==
........
Structure and theoretical XRD peak list of CrH12C8F8 (a DFT-relaxed cell (PBE+U, Alexandria); Cu Kα (λ = 1.5418 Å)).

Atomic structure:
Cell lengths 8.173, 8.173, 8.173 Å; angles 60.00, 60.00, 60.00 degrees
Element x y z (fractional)
Cr (0.000, 0.000, 0.000)
H (0.000, 0.000, 0.232)
H (0.000, 0.000, 0.768)
H (0.000, 0.232, 0.000)
H (0.000, 0.232, 0.768)
H (0.000, 0.768, 0.000)
H (0.000, 0.768, 0.232)
H (0.232, 0.000, 0.000)
H (0.232, 0.000, 0.768)
H (0.232, 0.768, 0.000)
H (0.768, 0.000, 0.000)
H (0.768, 0.000, 0.232)
H (0.768, 0.232, 0.000)
C (0.174, 0.174, 0.826)
C (0.174, 0.826, 0.174)
C (0.174, 0.826, 0.826)
C (0.250, 0.250, 0.250)
C (0.750, 0.750, 0.750)
C (0.826, 0.174, 0.174)
C (0.826, 0.174, 0.826)
C (0.826, 0.826, 0.174)
F (0.049, 0.317, 0.317)
F (0.317, 0.049, 0.317)
F (0.317, 0.317, 0.049)
F (0.317, 0.317, 0.317)
F (0.683, 0.683, 0.683)
F (0.683, 0.683, 0.951)
F (0.683, 0.951, 0.683)
F (0.951, 0.683, 0.683)

Most intense lines, 2θ from 10° to 90°, by angle:
........

Let's look at a real life situation, like mine for example! I was dragged into divorce Court in late 1980. My Ex had joined a religious cult that had persuaded her that she should divorce her "non-believer", sinner Husband, which she did. We were a typical, struggling young couple, living from paycheck to paycheck. We had recently bought our first home and had almost enough "stuff" to qualify as comfortable. For the first time in our marriage, we were able to eat out once in awhile without having to worry about not being able to pay the rent. We had two children, Jacob age 7 and Jessica age 4. March, 1981 is the last time I saw them..... not for lack of trying though!

Here's how the divorce hearing went: my Ex ranted and raved about every dirty, dastardly thing I had ever done or that she had dreamt I had done for a half hour or so. My $125/hour Lawyer just sat there drinking it all in... needless to say, he was very well aware of facts that would only start to dawn on me many Months later. He knew that none of this screaming and slandering made any difference. He could protest and defend until the cows came home but it wouldn't make a bit of difference. See, the Judge had made up his mind long before we showed up in his courtroom how he would be ruling on our case. That is to say that whatever is said in the court makes little or no difference. No amount of evidence or testimony would change the inevitable ruling.... here's his judgement, the same judgement that the vast majority of Fathers hear when it's their turn in Purgatory..

Custody of the minor children is awarded to the Mother. The Mother gets the Family home but the Father gets to pay the mortgage and gets to pay for any needed repairs until the home is sold. The Father is ordered to pay $750 per Month in child support out of a $30,000 per year gross income. The Mother is awarded the household furnishings, appliances and so on as well as her vehicle which the Husband must pay for, insure and repair. The Husband will also maintain life insurance so the the Court can continue to tap his wallet after he is in his grave. In the case of my situation, the initial court judgement wound up costing me in the neighborhood of $65,000 which also includes 5 vintage motorcycles and a pile of Ham radio equipment which she got to keep and sell. She even got custody of the family photo album. More on that later, too.

I got my clothes and a 3 year old pickup truck.

Now, it doesn't take a Harvard MBA to figure that there is no way that you can rebuild your life from nothing on the kind of money that the Court lets you have after your Ex-Wife gets done with you. Soooooo.... within a few Months, even when paying a few hunded bucks a Month towards your child support "obligation", you're going to find yourself seriously behind on your new "installment debt". Now comes a new term: arrearages. This is the amount of money that accrues between the court awarded megabucks to the Mother and whatever you are actually able send in.

Oh, did I mention that the non-custodial Father doesn't get to see his children anymore? Refer to: Hell hath no fury for more details on that one. Now you can bitch and cry and complain until you spit Lawyers, but there is no way on Earth that you're going to find a Judge who'll help you get visitation for your children that you are now paying an arm and a leg to support. But you can bet your butt that you'll be seeing Process Servers every fortnight while your wonderful Government drags you into court to bleed every possible penny of your money that they possibly can.

Now you may ask yourself, "if the Mother is unable to support the children without a MAJOR cash infusion from the Father each Month, why doesn't the court just award the children to the Father"? I've asked myself that one a kazillion times. If you figure out the answer be sure to let me know.

So here it is, 1997. I am 50 years old. I've paid roughly $120,000 in support for children who I wouldn't recognize if I tripped over them. And I am STILL being hounded for that $54,000 in "arrearages" that the Government says I owe. I can't help feeling that if Hillary Clinton turned her Scumbag, womanizing, adulterous, drug using, draft dodging Husband "Bubba" into a "Deadbeat Dad", that the rules of the game would change mighty quick. However, I don't see her doing anything to kill the golden goose that keeps her in the White House until at least the turn of the century...

Anyway.... it didn't take my Ex Wife long to realize that the Government would pay her around $1,500 per Month in cash, food stamps, medical bennies and so on to sit home on her ass being a "Single Mother". The Government eagerly made these payments even though my Ex Wife was perfectly capable of working, was a "Single Mother" by her own choice and even though I was more than capable of supporting and raising our children without the need for Public assistance. Furthermore, the Government did nothing to assist me in convincing my Ex Wife to permit child visitation even though doing so was clearly in the best interest of the children.

Consider these facts: Fathers of divorce who are permitted visitation are far more likely to pay the full amount of child support than Fathers who aren't. Fathers who get visitation get to participate in their children's upbringing. They generally help with additional expenses such as clothing, college education and so on. Fathers who get visitation are a role model to their children on how Adults are able to have problems and disagree but can still work these issues out in a mature, productive manner.

Contrast that scenario with the role models that my children likely have of their Parents: a Mother who is angry, spitefull and who hates all men and particularly hates the children's Father. Any opinions the children might have about their Father and about men in general would have been formed by listening to years of bitching about what an asshole their Father was. Doesn't sound very healthy or wholesome to me...

Does anyone think that the latter example does anything to produce a new generation of well balanced Parents? Or Parents who are not likely to repeat the experiences and mistakes of their Parents and thus create new generations of angry, dysfunctional Mothers and "Deadbeat Dads"?

Meanwhile... since my support payments were less than the amount of money that my Ex Wife was receiving in Welfare, my checks went directly to the Government and not to my former Family. This permitted my Ex Wife to claim that "the children's Father has never paid a cent of support in his life". Naturally, I have the check stubs to prove that she's a liar, but I kind of doubt that I'm ever going to get a chance to show them to my children. My kids are all grown now and probably have Families of their own by now. I managed to track down my Son a few days before his 21st birthday but he made it clear that he hasn't the slightest interest in becoming reacquainted with his dear old dad. He's 24 now and I haven't heard a word from him even though he has had my address and phone number for years. I don't hold out a lot of hope that I'll ever be hearing from him again.

My Daughter is another story entirely. I've been searching for her for years and it's almost like she's fallen off the face of the Earth without a trace. She'll be 21 on August 8, 1997 and I haven't a clue where she is or even if she's still alive. Needless to say, my Ex Wife and the wonderful Government who has been hounding me for money for most of my life have not expressed any willingness to disclose her whereabouts or to help me locate her.

In my search for my children, it has become obvious that both children have little regard from their Mother and probably have a very strained or no relationship at all with her. While not wanting to appear mean spirited, this seems somehow fitting and just to me :)

I've said it before and I'll say it again. It's no fun to have children out there and perhaps Grandchildren that you know nothing about and who probably haven't the slightest interest in knowing anything about their Dad or Grand dad. I've always tried to play life by the rules and I just don't understand what I did that was so bad that caused all of this to happen to me. Like millions of other so-called "Deadbeat Dads" in America, I have been denied my just and God given right to a relationship with my children. This denial has been fully supported by American Government and indeed could not have happened without it's full consent, support and assistance. I have been viewed as nothing more than a sperm donor with a checkbook and have been treated with complete contempt and uncaring by my Government and by just about everyone I have had to deal with in this situation.

Just who do you think are the real losers here? The Ex Wife who spents her days watching soap operas while living off of the public dole? Not likely. The non-custodial Fathers who have had their lives turned upside down by vengeful Ex Wives and a brain dead Government "system" that could care less about the people it tramples on? Nah... at least not in my case. I'm a survivor and I'll overcome whatever shit people try to throw at me.

It's the children who get hurt, stupid! I defy anyone to rationalize how America's current policies regarding divorce, child custody, child support and the rest of it does anything positive for the children, the parents or anyone else that it touches! That's your tax dollars at work, folks. I hope that you think you are getting your money's worth, because I sure don't!

Click here for more info on Father's issues.
Click here for the Portland, Oregon Chapter of DADs

IMPORTANT NOTE: Consider recommendations from DADs cautiously. My experience with DAD's referred Attorneys has not been very good. Victor Smith has (IMO) a personality that would piss off a rock. Your mileage may vary.